A COVENANT To walk with GOD IN An holy stedfastness to maintain the peace of our Spirits with God in CHRIST.
Solemnly entred into
By certain Persons resolving to live according to, and in the power of the life of Christ in them.
⟨8 ber 9 th⟩ LONDON: Printed by John Field for Philemon Stephens. 1646.
To my worthy FRIEND, M rs A.D.
THe occasion of this solemn engaging our selvs in Covenant with our God, you well remember, & the framing of this [Page]Model (as you know) was at first for your stay in an holy stedfastnes in the way and life of Christ (to which you had in some measure already attained) and for my own recovery after a long and bitter declining, (God in mercy gave an answerable [Page]success.) Those expressions of the way of life I have oft received from you, as the fruits of your own blessed Experience gave me the more confidence often to powr out my soul to you (a singular mercy to be interested in a faithful friend) in this I gained [Page]both ease and refeshing to a troubled spirit (and some consolation in so sad a condition I am cast into) in sympathizing with me in these saving experimental passages which I once enjoyed, though now (in bitternesse) have nothing to stay my [Page]Spirit, but (it was once otherwise) I have now only one suit, to beseech you to accept this your own, as it was first composed for our particulars, and to improve these sweet and spiritual experiences of the love of Christ shed into your heart, & God shall communicate [Page]unto you by his spirit daily, in your close walking with him, to establish your spirit in assurance and immutable cleaving to him in all faithful stedfastnesse, according to this our Covenant.
This is the daily prayers of [Page]him who will be ever found
A COVENANT made with GOD and our own Souls, and to be renewed daily, to maintain a constant peace in a Spiritual walking with our God.
SECT. 1. The occasion & ground of this Covenant.
VVEe seriously and in the sight of God, observing that glorious [Page 2]and blessed condition we have been called into, 1 Thess. 1.5. in the revelation of the Lord Jesus Christ upon our Spirits in the power of the Gospel, and therein seeing
- 1.
Rom. 5.1, 2.The singular and infinite love of God, in revealing to us effectually the great mysteries of Christ through the Spirit, and thereby speaking peace to [Page 3]our Spirits, through the promise in his Son.
- 2.
Rom. 8.6And thence evidential union & communion with Christ resulting. We have truly found bestowed upon us
A Spirit of life, Gal. 5.25.to live the life of Christ.
A mysterious mercy we must needs acknowledge, Eph. 3.17, 18. and beyond imagination, much more [Page 4]possibility of requital; especially in as much as we have found from thence, by blessed & happy experience communicated freely unto us, that which may fit us in some proportion and comfortable measure to enjoy communion with our God, as
- 1.
2 Pet. 1.4An holy frame of Spirit, answering to the holy nature of God in Christ in [Page 5]some happy measure.
- 2.
Rom. 5.5Sensiblenesse of infinite love in God to us through Christ in that respect.
And from these two principles have had experience in our hearts of
1. 2 Cor. 5.14. An holy tendernes towards God in the Lord Jesus Christ.
Spiritual joy in God, 1 Pet. 1.8 as our portion [Page 6]now in Christ reconciled to us.
3. 1 Ioh. 4.8. Love to, and sincere delight in him.
All which wee have found have been accompanyed with three special & prevailing fruits;
- 1.
Col. 3.1.The alienating of our Spirits from things here below, to favour, minde and taste spirituals.
- 2.
Rom. 7.15.The disapprobation & disalowance [Page 7]of lust and sin dwelling in us.
- 3.
Rom. 8.10.The subjugating of the power and strength of corruption, that it raigned not, nor prevailed in our spirits nor wayes.
From all which blessed works of Christ in us, through the strength of this Spirit of life cast into us by his inhabitation in us followed
Power in some measure to walk acceptably to God in peace. Acts 9.31.
Frō these grounds and principles (besides the internal light of Faith, and the witness and seal of the Spirit) warranted by Scripture to be the lot and only portion of the Elect of God called to be Saints. We have concluded
We are now actually [Page 9]in the state of grace, and partakers of the new Covenant in the Lord Jesus.
Therefore having these evidential grounds, that this is the true grace of Christ, wherein we now stand we cannot but finde our Spirits
- 1.
Psal. 63.5.Very sensible of singular love in God towards us in Christ.
[Page 10]2.
Psa. 116.12, 13.Widely enlarged answerably in love and thankfulnesse to God again for so much goodnesse.Eph. 1.13.
Therefore knowing our selves hereby sealed up unto our full Redemption in the great day of Christ, and that the time of our abiding here is but short. Conclude it our duty
That we live the [Page 11]rest of our pilgrimage wholly unto God, Rom. 6.4 in the power of that grace and spiritual life thus communicated to us from GOD in Christ. Eph. 4.17
And forasmuch as we carry still about with us a body of Death (and live in the world, although we are not of the world) that hauls back unto deadnesse and dulnesse in the [Page 12]way of Christ to the corruptions of our own natures, causing in us by woful experience to finde the bitternesse of our own folly in neglects, coolings, carelesnesse and unsteddiness of Spirit, often procuring irregularities and unevennesse in our wayes, & sad events upon our Spirits. We finde our selves therefore bounden [Page 13]in all Spiritual wisdom to tye our selves up
To keep a strict and close watch over our hearts and wayes. 1 Cor. 1 [...].14.
### Someone pasted materials data at this point
-- begin --
This record from Alexandria via LeMat-Bulk describes an optimized crystal structure of SrLiTi3. The functional is PBE-GGA.

a = 4.803 Å, b = 4.803 Å, c = 4.803 Å
α = 90.00°, β = 90.00°, γ = 90.00°
Positions (direct):
Sr 0.000 0.000 0.000
Li 0.500 0.500 0.500
Ti 0.000 0.500 0.500
Ti 0.500 0.000 0.500
Ti 0.500 0.500 0.000

Summary:
Calculated density: 3.6 g/cm³
DFT formation energy: 4.89 eV/f.u.
E above lowest polymorph: 0 meV/atom
V: 22.16 Å³ per atom

This record from Alexandria via LeMat-Bulk describes an optimized crystal structure of Sm2AgHPd6. The functional is PBE-GGA.

a = 5.615 Å, b = 5.615 Å, c = 7.077 Å
α = 111.86°, β = 111.86°, γ = 62.24°
Positions (direct):
Sm 0.248 0.248 0.312
Sm 0.752 0.752 0.688
Ag 0.000 0.000 0.500
H 0.500 0.500 0.000
Pd 0.174 0.687 0.141
Pd 0.296 0.296 0.773
Pd 0.313 0.826 0.859
Pd 0.687 0.174 0.141
Pd 0.704 0.704 0.227
Pd 0.826 0.313 0.859

Summary:
Calculated total energy: -5.21 eV/atom
Calculated density: 9.8 g/cm³
V: 17.78 Å³ per atom
-- stop --
SECT. 2. The COVENANT in general.
VVHereupon knowing the fickle and inconstant [Page 14]temper of our own variable Spirits, which through our corrupt nature are very false to us, and unlesse by strong hand kept under, and with a steddy eye watched and observed, grow perfidious and basely treacherous, leading us to Apostacy, to our own unrest, and great dishonor to our God. [Page 15]
We conceive it our duty to make a COVENANT with God and our Souls in this respect, and therefore do hereby in the sight of our God and the Lord Jesus Christ, and in the sincerity of our own thoughts.
Enter into a Solemn, Neh. 9.38.Peremptory and faithful Covenant with our God in Christ, Iob 31.1. Psa. 11 [...].106. through his strength promised [Page 16]in the Covenant to live to God for ever hereafter, and to walk with him in all things.
And because all our strength herein to walk in communion with him is derived from our Union and Fellowship with Christ our head, we therefore resolve as our duty
To maintain the strength and sence [Page 17]of our union and communion with Christ, and the increase daily of it upon us.
And therefore our resolutions are in the sight of our God, so far as we know our hearts to labor daily to finde
The power of Christ, 1 Pet. 5.10. and the sense of Spiritual life in us more and more, Eph. 3.16, 17.conveyed to us, strengthned in us, [Page 18]and working by us.
And because all our strength herein is derived from that principle of fulness in Christ, and this subordinately, by a knowing, believing in him, and close compliance to him.
Our Covenant is extended to these particulars.
SECT. 3. General Engagements as means to walk with GOD.
FOrasmuch therefore as our intention is our daily growing up in the power and life of Christ our Lord, our care shall be exercised in these particulars:
1. To see and observe more clearly [Page 20]daily in the Scripture, Col. 3.16. that infinite fulness that is in the Lord Jesus Christ, and the intent of God in him, to communicate the same to us according to the Covenant.
2. Therefore to actuate our Faith in that Covenant, and the Promises we finde we have obtained interest in, and peculiarly in such special Truths [Page 21]as are revealed to that purpose, believing we shall be possessors of the same.
3. To observe what quickening we receive from any passage in the Word of Promise concerning Christ; and herein
To gain establishment of heart in Gods love through Christ to us.
4. In all Divine [Page 22]intercourses 'twixt God and our Spirits, to proceed in every Ordinance so as
- 1. We get neerer communion with God, and experience of the power of Christ in us.
- 2. To stir up the grace of Christ in us, not resting in the work onely done.
And to this purpose our diligent [Page 23]care shall be used to improve the means of Salvation in their Spiritual power.
Knowing well that all we did before our calling was but polluted, and no way acceptable, but rather provoking.
So all done by us when we were in Christ, and not by the strength of his Spirit in us, is no [Page 24]wayes acceptable. For,
- 1. In him alone is our strength.
- 2.
Mat. 3. ult.In him alone are we acceptable.
5. To observe diligently how every promise is made good, and accomplished upon us, especially if we begd it in prayer; and thence to see
- 1. Gods faithfulnesse, in making good his promise,
[Page 25]no small refreshing to our Spirit, and Establishment to our Faith, when we sensibly set to our Seal that God is true, not only in the thing promised,
Ioh. 3.33but a Spiritual rellish of mercy in the same.
- 2. To reflect upon our own Spirits in the possession of the same, and love in Christ in its communication.
[Page 26] 6. To observe every glance of Gods love in Christ cast into our Spirits, and thence
- 1. To gather up a Catalogue of experiments of Gods love in Christ.
- 2. To take a strict observation of the graces of Christ dwelling in us:
- 1. How they proceed from Christ.
- 2. How thence they give assurance [Page 27]of Gods love in Christ.
These things observed diligently by us in the constant course of our ways, our care shall be extended
- 1. To bee daily more Spiritual in every holy duty to God:
- 2. To finde our Spirits more universally determined unto Christ.
SECT. 4. Special daily walking with GOD.
§. 1.
ANd forasmuch as our daily walking close with GOD is a special means to maintain a constant peace in our hearts in a sweet and Spiritual fellowship with our God, shining out upon us in the face [Page 28]of Christ.
Our Covenant with God shall be thus daily
- 1.
Heb. 12.15.To keep a constant watch against every root of bitternesse or lust that may creep into our hearts, or be nourished, that may sad the Spirit, or damp that vigorous heat of the life of Christ, that may disturb that peace God hath brought our Spirits unto.
[Page 30]2.
Psa. 51.5 Rom. 7.24.To keep a sensible tendernesse of our corrupt nature, and to bewail it before God, to be humbled that we carry about with us such a body of death, yet so, as that we see
- 1.
Mal. 4.2. Zac. 14.1.Healing hereof in Christ.
- 2. That we quickē our faith and love to the Lord Jesus Christ, who hath delivered us
- 1.
[Page 31]3.
2 Cor. 7.9, 10. Rev. 2.5.To renew our repentance daily for sins and failings, begging for assurance of pardon in the Lord Christ.
- 4.
Acts 2.38, 39.To believe the pardon of our sins when ever we beg it, and that in full assurance, waiting with a vigorous & longing expectation of soul, until God shine out in peace, sealing a pardon by the Spirit.
[Page 32]5.
1 Cor. 13 16.To watch against every temptation, knowing we are accompanied with snares, so to shun all appearance of evil.
- 6.
1 Thess. 5, 6.To observe the falsness & treachery of our hearts,
- 1. Suggesting to us the firmnesse of our standing, when we do not know our own hearts
- 2. Engaging us in temptation that [Page 33]they may ensnare us.
- 7. To resolve and binde our selves up, to prevent occasion of sin that may steal upon us.
- 8. That we labor daily to redeem our time,
Col. 4.5.and keep an accompt how we spend every day.
§. 2.
AND therefore we covenant our daily care shall be to spend the day [Page 34]in these particulars, in a
- 1. Constant course of prayer, reading, meditation in the power of Christ, with expectation of a blessing, and laboring for communion with Christ therein.
- 2. Diligence and constancy in our lawful callings.
- 1. With heavenly mindes, and in obedience to Christ.
- [Page 35]2. Waiting by faith upon God, for a blessing upon our subsistency.
- 3. Improving every opportunity of doing good to others, especially in Spirituall things, ministring grace to the hearers.
- 4. Holding a constant endeared and loving correspondence with the Saints,
Heb. 10.24, 25.and communicating with experimental [Page 36]christians in their experiences of Christ working and dwelling in them.
- 5. Every morning to work our hearts to an holy frame and sensible activeness towards God, that we may taste of it all the day after.
- 6. Above all every morning to labor our hearts to a sensiblenesse of [Page 37]Gods love to us in Christ, and an enflamed love to him again.
- 7.
Hab. 2.4. Heb. 10.37.To live that glorious life of faith in an holy dependance upon him in all conditions.
- 8. Every night to review the whole day, with observation of
- 1. Our own wants and sins, and to be humbled for them.
- 2. Gods care and [Page 38]provision for and of us, and to be enlarged in a loving and tender thankfulnesse to him.
- 9. In all things to maintain a sensible communion betwixt God and our Spirits.
This is the Covenant of our constant daily walking with God. Yet in all we make this
1. THis Covenant to be enlarged daily, as our experience shall administer occasiō, and the manifold intercourses betwixt God and our own souls present themselves to us.
2. Every Saturday at night, we conceive it our duty, as very convenient,
[Page 40] 1. To examine this Covenant with our hearts, to observe our proceedings: Herein how
- 1. Our resolutions are more unreserved.
- 2. Our Spirits more thoroughly brought over to Christ.
- 3. And therein to be
- 1. Humbled for decayes.
- 2. Thankful for [Page 41]improvement.
2. To renew the Covenant with God with more deep, solemn and peremptory Vows, observing the great peace we gain daily herein.
Wherein we conceive it our duty, to be very observant of two things which we shall take as cautions.
1. TO look for more opposition & wayward disturbances in our hearts then wee founds before we set upon this course to hinder us therein.
Yet herein, notwithstanding opposition, we resolve
- 1. Not to be discouraged.
- 2. But to seek [Page 43]strength and sufficiency in Christ.
2. To be very tender, lest constancy herein make us customary and formal: So our care shall bee, ever to maintain our hearts active and warm in all things.
This Covenant in the presence and sight of our God, for our steddy and constant walking with him, we [Page 44]make, write, and seal to it.